Activity:
Could you transcribe all of the material below without additions?

Source:
____________
# 1
DFT (ωB97M-V/def2-TZVPD) results for a cluster of 2 separate species, C5H9NO in total.

As for the energy above the lowest of the compared OMol25 structures with the same formula, charge and spin: 117.18 kcal per mole. Its SMILES is CC1=C(N=O)CC1.[H][H]. The highest occupied orbital energy is -8.9 eV. For the gap between HOMO and LUMO, the calculation gives 8.512 eV. The total charge is 0. For the electronic energy, the calculation gives -325.75082 hartree.

Geometry as XYZ:
```
16
Properties=species:S:1:pos:R:3:forces:R:3
C -1.4098 -1.0116 -0.5189 0.0 0.0 0.0
C -0.5382 0.0960 -0.0515 0.0 -0.1 0.0
C -0.8745 1.5240 0.3271 -0.2 0.1 0.0
C 0.6414 1.7207 0.6464 0.2 0.2 0.1
C 0.7677 0.2796 0.2266 -0.1 0.0 0.0
N 1.8538 -0.6091 0.1499 0.2 0.3 0.1
O 2.9047 -0.1044 0.4990 -0.3 -0.2 -0.1
H -2.0566 -0.6667 -1.3340 0.1 0.0 0.1
H -2.0705 -1.3316 0.2966 0.1 0.1 -0.1
H -0.8338 -1.8751 -0.8580 -0.1 0.2 0.1
H 1.0451 -3.3806 -1.0441 0.0 0.0 0.0
H -1.2589 2.1353 -0.4969 0.0 -0.1 0.1
H -1.5468 1.6222 1.1865 0.1 0.0 -0.1
H 0.8722 1.9261 1.6954 0.0 0.0 -0.1
H 1.1625 2.4435 0.0125 -0.1 -0.1 0.1
H 1.3417 -2.7684 -0.7365 0.0 -0.1 -0.1
```
Positions in Å, forces in eV/Å.

***

# 2
DFT (ωB97M-V/def2-TZVPD) results for a structure of composition C2HFGdO2.

The highest occupied orbital energy (spin up / spin down) is -6.8 / -8.9 eV. For the gap between HOMO and LUMO (spin up / spin down), the calculation gives 6.076 / 5.973 eV. The total charge is 0. The spin multiplicity is 9. The expectation value of S² is 20.38. For the electronic energy, the calculation gives -1092.57034 hartree.

Geometry as XYZ:
```
7
Properties=species:S:1:pos:R:3:forces:R:3
C -0.3362 -1.4103 -0.2623 -3.6 1.0 0.1
C 0.8192 -1.0046 -0.1716 3.0 4.6 0.9
O -1.6429 -1.1467 -0.2373 1.7 -0.9 -0.1
H -1.8257 -0.1550 -0.0552 1.1 0.2 0.0
Gd 2.3161 2.2400 0.4478 -1.3 -0.8 -0.2
O 1.7138 -0.0953 0.0099 -1.5 -3.2 -0.6
F -1.0443 1.5719 0.2686 0.6 -0.8 -0.1
```
Positions in Å, forces in eV/Å.

***

# 3
DFT (ωB97M-V/def2-TZVPD) results for an isolated molecule of C5H6N2.

As for the energy above the lowest of the compared OMol25 structures with the same formula, charge and spin: 57.67 kcal per mole. Its SMILES is C=CC1C=NN=C1. The highest occupied orbital energy is -10.1 eV. For the gap between HOMO and LUMO, the calculation gives 10.719 eV. The total charge is 0. For the electronic energy, the calculation gives -303.54417 hartree.

Geometry as XYZ:
```
13
Properties=species:S:1:pos:R:3:forces:R:3
C 1.7248 -0.4641 -0.6895 0.0 0.4 0.4
C 1.1203 0.4209 0.0909 -0.7 -0.8 0.2
C -0.2869 0.2747 0.6484 0.4 0.6 -0.4
C -0.8788 -1.0688 0.4259 1.4 -0.8 2.3
C -1.2862 1.0609 -0.1496 -0.1 0.6 -0.8
H 2.7067 -0.1704 -0.9519 1.0 -0.1 -0.6
H 1.3825 -1.4213 -1.0521 -0.4 0.1 0.1
H 1.6696 1.2998 0.3653 0.1 0.4 0.1
H -0.3314 0.6061 1.6894 0.1 -0.2 0.1
H -0.4957 -1.9972 0.9869 -0.8 1.3 -1.3
H -1.2478 2.1398 -0.3600 0.0 -0.5 0.3
N -1.9068 -1.0142 -0.2813 -1.7 -1.1 -1.2
N -2.1703 0.3335 -0.7224 0.7 0.0 0.8
```
Positions in Å, forces in eV/Å.

***

# 4
DFT (ωB97M-V/def2-TZVPD) results for an isolated molecule of C2H4N4.

As for the energy above the lowest of the compared OMol25 structures with the same formula, charge and spin: 70.94 kcal per mole. Its SMILES is Nc1cnn[nH]1. The highest occupied orbital energy is -8.6 eV. For the gap between HOMO and LUMO, the calculation gives 8.925 eV. The total charge is 0. For the electronic energy, the calculation gives -297.53126 hartree.

Geometry as XYZ:
```
10
Properties=species:S:1:pos:R:3:forces:R:3
N 1.4660 0.6824 -0.1293 0.5 -0.3 0.1
C 0.3537 -0.0874 -0.0321 0.1 -0.1 0.4
C -0.4169 -0.3981 1.0590 0.3 0.3 -0.1
N -1.7208 -0.2518 0.6094 -0.2 -0.2 -0.5
N -1.7609 -0.1034 -0.6461 -1.0 -1.3 0.3
N -0.4274 -0.2843 -1.1933 -0.3 0.8 0.4
H 1.5780 1.1347 -1.0285 0.0 -0.2 0.2
H 1.5675 1.3118 0.6555 0.3 -0.2 -0.1
H -0.1715 -0.6949 2.0704 -0.1 0.7 -0.1
H -0.4677 -1.3089 -1.3650 0.3 0.7 -0.5
```
Positions in Å, forces in eV/Å.

***

# 5
____________

Here it is:
# 1
DFT (ωB97M-V/def2-TZVPD) results for a cluster of 2 separate species, C5H9NO in total.

As for the energy above the lowest of the compared OMol25 structures with the same formula, charge and spin: 117.18 kcal per mole. Its SMILES is CC1=C(N=O)CC1.[H][H]. The highest occupied orbital energy is -8.9 eV. For the gap between HOMO and LUMO, the calculation gives 8.512 eV. The total charge is 0. For the electronic energy, the calculation gives -325.75082 hartree.

Geometry as XYZ:
```
16
Properties=species:S:1:pos:R:3:forces:R:3
C -1.4098 -1.0116 -0.5189 0.0 0.0 0.0
C -0.5382 0.0960 -0.0515 0.0 -0.1 0.0
C -0.8745 1.5240 0.3271 -0.2 0.1 0.0
C 0.6414 1.7207 0.6464 0.2 0.2 0.1
C 0.7677 0.2796 0.2266 -0.1 0.0 0.0
N 1.8538 -0.6091 0.1499 0.2 0.3 0.1
O 2.9047 -0.1044 0.4990 -0.3 -0.2 -0.1
H -2.0566 -0.6667 -1.3340 0.1 0.0 0.1
H -2.0705 -1.3316 0.2966 0.1 0.1 -0.1
H -0.8338 -1.8751 -0.8580 -0.1 0.2 0.1
H 1.0451 -3.3806 -1.0441 0.0 0.0 0.0
H -1.2589 2.1353 -0.4969 0.0 -0.1 0.1
H -1.5468 1.6222 1.1865 0.1 0.0 -0.1
H 0.8722 1.9261 1.6954 0.0 0.0 -0.1
H 1.1625 2.4435 0.0125 -0.1 -0.1 0.1
H 1.3417 -2.7684 -0.7365 0.0 -0.1 -0.1
```
Positions in Å, forces in eV/Å.

***

# 2
DFT (ωB97M-V/def2-TZVPD) results for a structure of composition C2HFGdO2.

The highest occupied orbital energy (spin up / spin down) is -6.8 / -8.9 eV. For the gap between HOMO and LUMO (spin up / spin down), the calculation gives 6.076 / 5.973 eV. The total charge is 0. The spin multiplicity is 9. The expectation value of S² is 20.38. For the electronic energy, the calculation gives -1092.57034 hartree.

Geometry as XYZ:
```
7
Properties=species:S:1:pos:R:3:forces:R:3
C -0.3362 -1.4103 -0.2623 -3.6 1.0 0.1
C 0.8192 -1.0046 -0.1716 3.0 4.6 0.9
O -1.6429 -1.1467 -0.2373 1.7 -0.9 -0.1
H -1.8257 -0.1550 -0.0552 1.1 0.2 0.0
Gd 2.3161 2.2400 0.4478 -1.3 -0.8 -0.2
O 1.7138 -0.0953 0.0099 -1.5 -3.2 -0.6
F -1.0443 1.5719 0.2686 0.6 -0.8 -0.1
```
Positions in Å, forces in eV/Å.

***

# 3
DFT (ωB97M-V/def2-TZVPD) results for an isolated molecule of C5H6N2.

As for the energy above the lowest of the compared OMol25 structures with the same formula, charge and spin: 57.67 kcal per mole. Its SMILES is C=CC1C=NN=C1. The highest occupied orbital energy is -10.1 eV. For the gap between HOMO and LUMO, the calculation gives 10.719 eV. The total charge is 0. For the electronic energy, the calculation gives -303.54417 hartree.

Geometry as XYZ:
```
13
Properties=species:S:1:pos:R:3:forces:R:3
C 1.7248 -0.4641 -0.6895 0.0 0.4 0.4
C 1.1203 0.4209 0.0909 -0.7 -0.8 0.2
C -0.2869 0.2747 0.6484 0.4 0.6 -0.4
C -0.8788 -1.0688 0.4259 1.4 -0.8 2.3
C -1.2862 1.0609 -0.1496 -0.1 0.6 -0.8
H 2.7067 -0.1704 -0.9519 1.0 -0.1 -0.6
H 1.3825 -1.4213 -1.0521 -0.4 0.1 0.1
H 1.6696 1.2998 0.3653 0.1 0.4 0.1
H -0.3314 0.6061 1.6894 0.1 -0.2 0.1
H -0.4957 -1.9972 0.9869 -0.8 1.3 -1.3
H -1.2478 2.1398 -0.3600 0.0 -0.5 0.3
N -1.9068 -1.0142 -0.2813 -1.7 -1.1 -1.2
N -2.1703 0.3335 -0.7224 0.7 0.0 0.8
```
Positions in Å, forces in eV/Å.

***

# 4
DFT (ωB97M-V/def2-TZVPD) results for an isolated molecule of C2H4N4.

As for the energy above the lowest of the compared OMol25 structures with the same formula, charge and spin: 70.94 kcal per mole. Its SMILES is Nc1cnn[nH]1. The highest occupied orbital energy is -8.6 eV. For the gap between HOMO and LUMO, the calculation gives 8.925 eV. The total charge is 0. For the electronic energy, the calculation gives -297.53126 hartree.

Geometry as XYZ:
```
10
Properties=species:S:1:pos:R:3:forces:R:3
N 1.4660 0.6824 -0.1293 0.5 -0.3 0.1
C 0.3537 -0.0874 -0.0321 0.1 -0.1 0.4
C -0.4169 -0.3981 1.0590 0.3 0.3 -0.1
N -1.7208 -0.2518 0.6094 -0.2 -0.2 -0.5
N -1.7609 -0.1034 -0.6461 -1.0 -1.3 0.3
N -0.4274 -0.2843 -1.1933 -0.3 0.8 0.4
H 1.5780 1.1347 -1.0285 0.0 -0.2 0.2
H 1.5675 1.3118 0.6555 0.3 -0.2 -0.1
H -0.1715 -0.6949 2.0704 -0.1 0.7 -0.1
H -0.4677 -1.3089 -1.3650 0.3 0.7 -0.5
```
Positions in Å, forces in eV/Å.

***

# 5